_Data_
-- begin --
Density functional theory data (meta-GGA SCAN) for BeZnSe2 at its PBEsol-relaxed geometry.

```
data_BeZnSe2
_space_group_name_H-M_alt 'P 1'
_space_group_IT_number 1
_cell_length_a 3.212
_cell_length_b 4.505
_cell_length_c 4.505
_cell_angle_alpha 90.00
_cell_angle_beta 90.00
_cell_angle_gamma 90.00
loop_
_space_group_symop_operation_xyz
'x,y,z'
loop_
_atom_site_label
_atom_site_fract_x
_atom_site_fract_y
_atom_site_fract_z
Se1 0.000 0.000 0.500
Zn1 0.500 0.000 0.000
Se2 0.000 0.500 0.000
Be1 0.500 0.500 0.500
```

## Properties
* polymorph energy (0 for the lowest one): 1278.9 meV per atom
* formation energy from raw total energies: 0.42 eV per atom
* N(E_F): 2.10 states/eV/f.u.
* volume: 65.2 Å³/cell

=====

Density functional theory data (meta-GGA SCAN) for NiPSeO2 at its PBEsol-relaxed geometry.

```
data_NiPSeO2
_space_group_name_H-M_alt 'P 1'
_space_group_IT_number 1
_cell_length_a 3.552
_cell_length_b 3.552
_cell_length_c 5.277
_cell_angle_alpha 90.00
_cell_angle_beta 90.00
_cell_angle_gamma 90.00
loop_
_space_group_symop_operation_xyz
'x,y,z'
loop_
_atom_site_label
_atom_site_fract_x
_atom_site_fract_y
_atom_site_fract_z
O1 0.000 0.500 0.000
Ni1 0.000 0.000 0.000
O2 0.500 0.000 0.000
Se1 0.500 0.500 0.500
P1 0.000 0.000 0.500
```

## Properties
* polymorph energy (0 for the lowest one): 0.0 meV per atom
* formation energy from raw total energies: 0.02 eV per atom
* N(E_F): 2.68 states/eV/f.u.
* volume: 66.6 Å³/cell

=====

Density functional theory data (meta-GGA SCAN) for BaTiNi2F at its PBEsol-relaxed geometry.

```
data_BaTiNi2F
_space_group_name_H-M_alt 'P 1'
_space_group_IT_number 1
_cell_length_a 4.740
_cell_length_b 4.740
_cell_length_c 5.814
_cell_angle_alpha 90.00
_cell_angle_beta 90.00
_cell_angle_gamma 90.00
loop_
_space_group_symop_operation_xyz
'x,y,z'
loop_
_atom_site_label
_atom_site_fract_x
_atom_site_fract_y
_atom_site_fract_z
Ti1 0.000 0.000 0.500
Ba1 0.000 0.000 0.000
Ni1 0.500 0.000 0.000
Ni2 0.000 0.500 0.000
F1 0.500 0.500 0.500
```

## Properties
* formation energy from raw total energies: 1.64 eV per atom
* N(E_F): 2.99 states/eV/f.u.
* volume: 130.6 Å³/cell

=====

Density functional theory data (meta-GGA SCAN) for HfAsBr3 at its PBEsol-relaxed geometry.

```
data_HfAsBr3
_space_group_name_H-M_alt 'P 1'
_space_group_IT_number 1
_cell_length_a 5.214
_cell_length_b 5.214
_cell_length_c 5.214
_cell_angle_alpha 90.00
_cell_angle_beta 90.00
_cell_angle_gamma 90.00
loop_
_space_group_symop_operation_xyz
'x,y,z'
loop_
_atom_site_label
_atom_site_fract_x
_atom_site_fract_y
_atom_site_fract_z
Br1 0.000 0.500 0.000
Br2 0.000 0.000 0.500
Br3 0.500 0.000 0.000
As1 0.500 0.500 0.500
Hf1 0.000 0.000 0.000
```

## Properties
* formation energy from raw total energies: -0.32 eV per atom
* N(E_F): 1.52 states/eV/f.u.
* volume: 141.8 Å³/cell

=====

Density functional theory data (meta-GGA SCAN) for Y2AgSbPd at its PBEsol-relaxed geometry.

```
data_Y2AgSbPd
_space_group_name_H-M_alt 'P 1'
_space_group_IT_number 1
_cell_length_a 4.905
_cell_length_b 5.389
_cell_length_c 5.389
_cell_angle_alpha 90.00
_cell_angle_beta 90.00
_cell_angle_gamma 90.00
loop_
_space_group_symop_operation_xyz
'x,y,z'
loop_
_atom_site_label
_atom_site_fract_x
_atom_site_fract_y
_atom_site_fract_z
Sb1 0.500 0.000 0.000
Ag1 0.000 0.000 0.000
Y1 0.000 0.000 0.500
Y2 0.000 0.500 0.000
Pd1 0.500 0.500 0.500
```

## Properties
* formation energy from raw total energies: 0.25 eV per atom
* N(E_F): 3.94 states/eV/f.u.
* volume: 142.5 Å³/cell

=====

Density functional theory data (meta-GGA SCAN) for NaMg2TlO at its PBEsol-relaxed geometry.

```
data_NaMg2TlO
_space_group_name_H-M_alt 'P 1'
_space_group_IT_number 1
_cell_length_a 3.935
_cell_length_b 5.429
_cell_length_c 5.429
_cell_angle_alpha 90.00
_cell_angle_beta 90.00
_cell_angle_gamma 90.00
loop_
_space_group_symop_operation_xyz
'x,y,z'
loop_
_atom_site_label
_atom_site_fract_x
_atom_site_fract_y
_atom_site_fract_z
Tl1 0.500 0.500 0.500
Na1 0.000 0.000 0.000
O1 0.500 0.000 0.000
-- stop --
_To do_
Please filter the entries further up: keep the lines with the word "data_Y2AgSbPd".
_Result_
data_Y2AgSbPd